Social Networking Sites (SNSs)- Shifting Paradigm of English Language Usage (original) (raw)

Influence of E-Social Network Sites on English Language: Are We Experiencing a New Variety of English?

J. Primeasia Univ., 2018

Social Networking Sites (SNS) like Facebook, Google+, YouTube, LinkedIn, Instagram, Tweeter, Whatsapp, Yahoo Messenger, Viver, Short text messaging (SMS),etc. have become the most popular communicating systems nowadays to all people. The aim of the study is to investigate whether or not the influence of communication through Social Networking Sites (SNS) is contributing to the emergence of a new variety of English. The data for the study are deduced from the analysis of 300posts, replies, comments from Facebook, tweeter, Google+ and other Social Networking Sites. Moreover, 100 public writings from different academic examination scripts have been taken as samples for the study. The deduced data are triangulated and analyzed through quantitative and qualitative methods. The result of the study demonstrates that Social Networking Sites (SNS) play a defacto role in the emergence of a new variety of English which has already got acceptance among its users to some extent both in academic and non-academic arena.


It is talk of the day to work and explore the vistas of English language used by people in social media, especially facebook. Its individual opinion that its deterioration of English language or improvement. In both cases it very significant aspect to explore. For that purpose researchers chose facebook as target to choose around 25 words/ expressions to analyze. Along with that researchers have provided a brief introduction of the work accompanied by literature review about the same issue. The researchers used internet, Oxford Advance Learners Dictionary and some research articles for assistance in this task. The categories mentioned in the analysis have been taken from the research paper of Vernhagen, Pugh & Kwong (2009) Lol: new language and spelling in instant messaging. Some other categories not mentioned in the study have been coined by the researchers. The bibliography and references are provided in the end of this assignment.

Social Media and Changing Trends in Everyday Languages

International Journal of English Learning & Teaching Skills

The emergence of the internet along with the consequential array of social media networks have, undoubtedly, resulted in an exponential increase in new types of language: blogs, tweets, Facebook posts and LinkedIn profiles are just a few to mention. There's no denying that social media has had a drastic impact on the sheer volume of people we are now able to communicate with, it's also had an impact on the frequency with which we are able to communicate with them. This has led us being exposed to a myriad of different personalities, perspectives, and approaches when we use social media to communicate. People who use the same social network build their own community with common interests, activities, and topics for discussions. With its global reach social media has also resulted in faster communication. The need for speed and easy understanding has thus altered the common used words and phrases. Some of the more popular social media sites limit the number of characters one can use in a post. Twitter, limits the "Tweet" to 280characters, thus pushing its users to become more adept at saying what they want or need to say with fewer words resulting new trending terms. It has even introduced new terms in English. This paper tries to highlight the changes in language and communication pattern with the introduction of social media in everyday life. The acceptances as well as the impact of the new vocabulary are also the areas where this paper has tried to focus. For this purpose, the main objective of this paper is to understand the changes introduced in English Language with the advent of social media, to analyse the acceptance of the new words in modern vocabulary as well as to analyse the impact that social media has brought in our everyday terms.


With the advertisement that had taken place in last 100 years in every sphere of life; English has no longer remained merely a course of study. English language has acclaimed an international status. Though the other regional language also prevails and is valued; the ideology of treating English as a foreign language has changed remarkably. Today English is the medium of all modern technologies. Because of its being widely accepted; English has become the language of all especially educational technology. It has entered and influenced our life in every realm of communication. Nobody can ignore the significance of this global language in modern technologies, which provide the basis for survival these days. These technologies have become powerful tools to communicate with people around the globe. They are faster, easier and more convenient that the older media. The role of computers is omnipotent in today’s world. Along with the backbone of all the industries and professions and the most fascinating concern of today’s youth is the internet. In this paper I am dealing with the transformation of English language through media and social networking.

Different Language Usage on Social Media

The research presented the effects of Social Media on the formation of new words that are being used by the Social Media users that often includes in the formal use of language in the academe. The emergence of different Social Networking Sites (SNSs) such as Facebook, Twitter, and E-mail have driven a more advanced change in the way people communicate. The study aimed to assess how Social Media affects the formal English Language used in the academe. The result of the study also highlighted how often do Social Media users of the Central Luzon State University, College of Education use the proper abbreviations, exclamatory spelling of emoticons, use letter homophones, acronyms, commit misspelled words, use shortening of words, use numbers to represents words, and use combination of two different language in their papers. The qualitative method of research used the survey technique and was utilized for gathering data. The questionnaires serve as the instrument for collecting data. 50 students of the College of Education, English Majors of the said university are the respondents.


ALEA: Estudos Neolatinos - PPGLEN, UFRJ, 2019

Th is article investigates the dynamics of contemporary Romanian, focusing on various linguistic structures typically used on social network sites, through which the specifi c content and interaction strategies are being deployed in virtual communities. Th e article is part of a larger project devoted to the study of linguistic impoverishment (aff ecting both the vocabulary and the grammatical structure of the language), social networks being only one of the areas where these "uglifi ed" linguistic structures come from: the mass-media (both print and broadcast), advertising (outdoor, indoor, television commercials), Internet forums, corporate jargon, etc. Th e structures under scrutiny are mostly loan translations (i.e. calques) from English, false friends, hybrid constructions and, generally, lexical and grammatical oddities (sometimes even in the source language), which, nevertheless, due to frequent use, have entered the active vocabulary of a large category of speakers and are therefore becoming pervasive in everyday conversation. Th e proliferation of these 'mongrel' structures in common parlance is also the result of their migration, on the principle of communicating vessels, to other areas of interpersonal and public communication, that of advertising in particular. Moreover, their oddity and inappropriateness are now beginning to pass unnoticed, as more and more speakers are treating them as legitimate linguistic forms, which often end up being recorded in dictionaries. Our approach combines theoretical insights with practical solutions and the pragma-linguistic perspective with the translator's corrective input.


The harnessing development of technology has drastically modified languages that people are using in all corners of the world. It is out of the question that world languages are constantly evolving to meet the needs and requirements of the society. Nowadays social media platforms have undoubtedly become an indispensable part of daily communication. Undeniably various platforms of social media attract millions of people with different ethnic, linguistic, racial and religious backgrounds to interact and take part in various discussions in blogs, microblogs, chat groups, discussion boards, forums, etc. Over the last 20 years Internet mediated communication has generated many grammatical structures and lexical items that need to be studied and redefined. With the advent of new technologies new linguistic deviations have emerged in social media platforms. It is no wonder that scientists are holding opposing thoughts and conflicting viewpoints of the same or similar phenomena. Being the most prevalent language of social media and having the highest frequency of usage on the Internet domain the English language has underwent large-scale changes and alternations. These non-standard forms are noted in all levels of language. Over the time linguistic deviations have the tendency to become standard forms. The latter may lead the English language to changes. The current article discusses the marked variations of English verbal system in contemporary English social media platforms.

Language Change in Social Media

Randwick International of Social Science Journal

Nowadays currently, many people are found using language that sometimes runs away from the standard or changes from the standard. They use language only based on their desires. These language changes give the impression of making readers or the public may be confused to understand the true meaning. This makes researchers interested in discussing this issue. This study will focus on the exploration of language change that occurs in social media nowadays. The authors will draw inspiration from various texts on social media. The researchers will complete the survey and the study using Internet facilities. This study was conducted qualitatively and the writers will also be observing the language change directly from the relevant social media applications. The information gathered is terminological in nature, replete with human characteristics, and based on captions from several social media platforms including Twitter, Instagram, YouTube, and Facebook. Following the completion of this s...

English Use in Facebook (Discourse Analysis)

This study is carried out to understand the English written patterns used by Facebook users and to find out whether their written language is acceptable by both sender and recipient in Facebook communication. This study applies descriptive qualitative method. Unit of analysis is the corpus of Facebook users. Data are collected through documentation of the user’s status and comment in Facebook. The data is analyzed by using content analysis which involves coding and classifying data. Seven writing patterns which are used by Facebook users to communicate are found in the corpuses analysis. Most of Facebook users tend to use short form of sentences and abbreviate the words. Exaggerated punctuation is used as non-verbal cues and to make writing more stylistic. Emoticon is used to express feeling.

The Impact of Language Changes Caused by Technology and Social Media

Language Literacy: Journal of Linguistics, Literature, and Language Teaching

## Unrelated to this article: data records
'''
{
  "formula": "ClH2NO2Si",
  "method": "the ωB97M-V functional and the def2-TZVPD basis",
  "species": ["O", "N", "O", "Si", "Cl", "H", "H"],
  "positions_angstrom": [[1.898, -1.539, 1.606], [0.744, -1.485, 1.263], [-0.026, -2.413, 1.240], [0.209, 0.140, 0.789], [1.189, 1.484, 1.813], [0.082, -0.133, -0.945], [-1.052, 0.349, 1.547]],
  "homo_ev": -11.092,
  "smiles": "O=[N+]([O-])[SiH2]Cl",
  "de_lowest_kcal_mol": 29.3,
  "orbital_gap_ha": 0.398,
  "largest_force_ev_per_a": 4.09
}

***

{
  "formula": "C4H6O3Si",
  "method": "the ωB97M-V functional and the def2-TZVPD basis",
  "species": ["C", "C", "C", "C", "O", "O", "O", "Si", "H", "H", "H", "H", "H", "H"],
  "positions_angstrom": [[-1.515, -0.870, 0.643], [-0.488, -1.583, -0.105], [-1.338, 0.437, 0.816], [0.419, -0.724, -0.517], [2.000, -1.218, -1.422], [0.384, 2.229, -0.955], [1.356, 1.310, 1.287], [0.342, 1.018, 0.056], [-2.423, -1.511, 0.894], [-0.358, -2.677, -0.296], [-2.140, 1.120, 1.055], [2.276, -2.027, -1.143], [-0.335, 2.369, -1.661], [1.821, 2.127, 1.348]],
  "homo_ev": -8.992,
  "de_lowest_kcal_mol": 43.9,
  "orbital_gap_ha": 0.329,
  "largest_force_ev_per_a": 7.09
}

***

{
  "formula": "C5H7NO",
  "method": "the ωB97M-V functional and the def2-TZVPD basis",
  "species": ["C", "C", "C", "C", "N", "H", "H", "H", "H", "H", "C", "O", "H", "H"],
  "positions_angstrom": [[-0.655, -1.204, 0.272], [-0.943, 0.039, -0.122], [-2.290, 0.700, 0.006], [0.101, 0.848, -0.707], [0.924, 1.519, -1.173], [-1.426, -1.821, 0.725], [0.341, -1.626, 0.174], [-2.242, 1.545, 0.702], [-3.028, -0.017, 0.374], [-2.629, 1.088, -0.960], [2.966, -0.262, 0.172], [2.516, -1.309, 0.573], [3.044, -0.023, -0.903], [3.319, 0.522, 0.868]],
  "homo_ev": -10.131,
  "smiles": "C=C(C)C#N.C=O",
  "de_lowest_kcal_mol": 43.3,
  "orbital_gap_ha": 0.398,
  "largest_force_ev_per_a": 1.13
}

***

{
  "formula": "C15H23Cl2MnP",
  "method": "the ωB97M-V functional and the def2-TZVPD basis",
  "species": ["Mn", "Cl", "Cl", "C", "H", "H", "C", "C", "H", "C", "H", "C", "H", "H", "C", "H", "H", "C", "H", "H", "H", "H", "C", "P", "C", "C", "C", "C", "C", "C", "C", "H", "H", "H", "H", "H", "H", "H", "H", "H", "H", "H"],
'''

This research discusses language change as a result of the influence of social media. In an increasingly advanced digital era, social media has become one of the primary communication tools for individuals worldwide. This study utilizes descriptive and comparative analysis methods to explore the influence of social media on language change. Firstly, the research identifies grammar, syntax, and vocabulary changes due to social media usage. Then, the study compares the language used in traditional communication with that used in social media communication. The findings of this research indicate significant language changes due to the use of social media. There is an increase in the use of abbreviations, emoticons, and distinctive terms specific to social media that affect the way humans communicate in a digital context. Additionally, casual writing styles, non-formal language use, and the adaptation of foreign words have become characteristics of social media communication. These lang...